Postgresql版本: 9.4 GP版本:4.3(基于Postgresql 8.2)测试表信息:
表名:test 总行数:68w 总大小:170MB测试语句:
查看执行计划:explain analyze select * from test order by test_ID
执行查询: select * from test order by test_ID
Postgresql环境测试 1. 无索引 查看执行计划:
“Sort (cost=230780.25..232494.46 rows=685684 wIDth=205) (actual time=3200.642..4079.336 rows=685684 loops=1)”
” Sort Key: test_ID”
” Sort Method: external merge disk: 156136kB”
” -> Seq Scan on test (cost=0.00..28379.84 rows=685684 wIDth=205) (actual time=0.005..128.166 rows=685684 loops=1)”
“Planning time: 0.116 ms”
“Execution time: 4152.203 ms”
2. 有索引创建索引:
CREATE INDEX test_index ON test USING btree (test_ID);
这里的索引默认为升序排列,并且我们的查询语句中使用到了order by
“Index Scan using test8 on test (cost=0.42..99475.90 rows=685684 wIDth=205) (actual time=0.045..558.244 rows=685684 loops=1)”
Misplaced records of crystals
~~~
Entry 1:
For ReC6N9, a cell relaxed with PBE gives the theoretical powder XRD pattern in this record (Cu Ka).

Cell and atoms:
```
data_ReC6N9
_cell_length_a 7.0364
_cell_length_b 13.2603
_cell_length_c 11.4076
_cell_angle_alpha 90.00
_cell_angle_beta 90.00
_cell_angle_gamma 90.00
_space_group_name_H-M_alt 'C m c m'
_space_group_IT_number 63
_space_group_name_Hall '-C 2c 2'
loop_
_atom_site_label
_atom_site_fract_x
_atom_site_fract_y
_atom_site_fract_z
Re1 0.0000 0.2197 0.2500
C1 0.1594 0.1256 0.7500
C2 0.1591 0.3555 0.5914
N1 0.0000 0.0775 0.7500
N2 0.0000 0.3803 0.5430
N3 0.1904 0.3343 0.2500
N4 0.1917 0.1650 0.1330
```

The 10 most intense peaks (2θ from 15° to 90°), by angle:
- 15.5°, I = 57, hkl 0 0 2
- 16.2°, I = 100, hkl 1 1 1
- 20.5°, I = 32, hkl 0 2 2
- 25.0°, I = 46, hkl 1 3 1
- 27.5°, I = 39, hkl 1 1 3
- 28.5°, I = 14, hkl 1 3 2
- 32.8°, I = 15, hkl 2 2 2
- 33.6°, I = 14, hkl 1 3 3
- 44.5°, I = 16, hkl 2 4 3
- 54.6°, I = 13, hkl 4 0 2

Entry 2:
For NiAsS, a cell relaxed with PBE gives the theoretical powder XRD pattern in this record (Cu Ka).

Cell and atoms:
```
data_NiAsS
_cell_length_a 5.6959
_cell_length_b 5.6959
_cell_length_c 5.6959
_cell_angle_alpha 90.00
_cell_angle_beta 90.00
_cell_angle_gamma 90.00
_space_group_name_H-M_alt 'P 21 3'
_space_group_IT_number 198
_space_group_name_Hall 'P 2ac 2ab 3'
loop_
_atom_site_label
_atom_site_fract_x
_atom_site_fract_y
_atom_site_fract_z
Ni1 0.0069 0.4931 0.5069
As1 0.1208 0.8792 0.3792
S1 0.1159 0.6159 0.8841
```

The 10 most intense peaks (2θ from 15° to 90°), by angle:
- 22.1°, I = 16, hkl 1 1 0
- 31.4°, I = 52, hkl 2 0 0
- 35.2°, I = 100, hkl 2 1 0
- 38.7°, I = 66, hkl 2 1 1
- 45.0°, I = 30, hkl 2 2 0
- 53.3°, I = 87, hkl 3 1 1
- 58.4°, I = 25, hkl 3 0 2
- 60.9°, I = 34, hkl 3 2 1
- 76.7°, I = 18, hkl 4 2 1
- 89.4°, I = 29, hkl 5 1 1

Entry 3:
For MgCd2Cu4O6, a cell relaxed with PBE gives the theoretical powder XRD pattern in this record (Cu Ka).

Cell and atoms:
```
data_MgCd2Cu4O6
_cell_length_a 4.3463
_cell_length_b 9.9499
_cell_length_c 3.8408
_cell_angle_alpha 90.00
_cell_angle_beta 90.00
_cell_angle_gamma 90.00
_space_group_name_H-M_alt 'P m m 2'
_space_group_IT_number 25
loop_
_space_group_symop_operation_xyz
'x,y,z'
'-x,-y,z'
'-x,y,z'
'x,-y,z'
loop_
_atom_site_label
_atom_site_fract_x
_atom_site_fract_y
_atom_site_fract_z
Mg1 0.0000 0.0000 0.0000
Cd1 0.0000 0.5000 0.3651
Cd2 0.5000 0.0000 0.4767
Cu1 0.0000 0.2510 0.5943
Cu2 0.5000 0.3108 0.0628
O1 0.0000 0.0000 0.5012
O2 0.0000 0.2920 0.0924
O3 0.5000 0.1289 0.9714
O4 0.5000 0.5000 0.1927
```

The 10 most intense peaks (2θ from 15° to 90°), by angle:
- 22.3°, I = 33, hkl 1 1 0
- 29.4°, I = 38, hkl 0 2 1
- 31.1°, I = 29, hkl 1 0 1
- 32.4°, I = 61, hkl 1 1 1
- 34.0°, I = 30, hkl 1 3 0
- 36.1°, I = 100, hkl 0 4 0
- 41.6°, I = 74, hkl 2 0 0
- 43.3°, I = 23, hkl 0 4 1
- 51.7°, I = 23, hkl 0 5 1
- 56.2°, I = 43, hkl 2 4 0

Entry 4:
~~~
“Planning time: 0.449 ms”
“Execution time: 606.375 ms”
3. 有无索引的比较使用索引后,查询时间从4s减少到了0.56s,即缩短为原来的1/8。
GP环境测试 1. 无索引查看执行计划:
“Gather Motion 4:1 (slice1; segments: 4) (cost=337376.64..339090.53 rows=685556 wIDth=211)”
” Merge Key: test_ID”
” Rows out: 685684 rows at destination with 1303 ms to first row,2969 ms to end,start offset by 3.100 ms.”
” -> Sort (cost=337376.64..339090.53 rows=171389 wIDth=211)”
” Sort Key: test_ID”
” Rows out: Avg 171421.0 rows x 4 workers. Max 171423 rows (seg2) with 1004 ms to first row,1102 ms to end,start offset by 4268012 ms.”
” Executor memory: 79865K bytes avg,79865K bytes max (seg0).”
” Work_mem used: 79865K bytes avg,79865K bytes max (seg0). Workfile: (0 spilling,0 reused)”
” -> Seq Scan on test (cost=0.00..12289.56 rows=171389 wIDth=211)”
” Rows out: Avg 171421.0 rows x 4 workers. Max 171423 rows (seg2) with 0.437 ms to first row,69 ms to end,start offset by 4268013 ms.”
“Slice statistics:”
” (slice0) Executor memory: 335K bytes.”
” (slice1) Executor memory: 80055K bytes avg x 4 workers,80055K bytes max (seg0). Work_mem: 79865K bytes max.”
“Statement statistics:”
” Memory used: 128000K bytes”
== Crystal structures, as found in the file ==
- - -
For PrPd, the PBE geometry in the Materials Project gives the theoretical XRD peak list in this record (Cu Kα, 1.54184 Å).
Intensities are scaled so that the largest is 100.

Crystal structure
```
PrPd
1.0
1.954 -5.505 0.000
1.954 5.505 0.000
0.000 0.000 4.695
Pr Pd
2 2
direct
0.137 0.863 0.750
0.863 0.137 0.250
0.414 0.586 0.750
0.586 0.414 0.250
```

The 12 most intense peaks (2θ from 15° to 90°), sorted by position:
two_theta	intensity
30.86	100
32.53	32
- - -
“Optimizer status: legacy query optimizer”
“Total runtime: 3088.360 ms”
2. 有索引创建索引:
CREATE INDEX test_index2 ON test USING btree (test_ID);
“Gather Motion 4:1 (slice1; segments: 4) (cost=337376.64..339090.53 rows=685556 wIDth=211)”
” Merge Key: test_ID”
” Rows out: 685684 rows at destination with 1161 ms to first row,2784 ms to end,start offset by 1.896 ms.”
” -> Sort (cost=337376.64..339090.53 rows=171389 wIDth=211)”
” Sort Key: test_ID”
” Rows out: Avg 171421.0 rows x 4 workers. Max 171423 rows (seg2) with 1149 ms to first row,1254 ms to end,start offset by 4268008 ms.”
” Executor memory: 79865K bytes avg,0 reused)”
” -> Seq Scan on test (cost=0.00..12289.56 rows=171389 wIDth=211)”
” Rows out: Avg 171421.0 rows x 4 workers. Max 171423 rows (seg2) with 0.224 ms to first row,86 ms to end,start offset by 4268009 ms.”
“Slice statistics:”
” (slice0) Executor memory: 335K bytes.”
” (slice1) Executor memory: 80055K bytes avg x 4 workers,80055K bytes max (seg0). Work_mem: 79865K bytes max.”
“Statement statistics:”
” Memory used: 128000K bytes”
“Optimizer status: legacy query optimizer”
“Total runtime: 2896.060 ms”
结论 采用索引后,查询时间会大幅减少 确保有足够的网络带宽,否则查询时间的绝大部分都花在了数据传输上 总结以上是内存溢出为你收集整理的GP索引调优测试--排序篇全部内容,希望文章能够帮你解决GP索引调优测试--排序篇所遇到的程序开发问题。